It remains to echo all of the contents further down character by character.

+++
Record 1
Entry from the Alexandria database: an optimized crystal structure of ScUCu2O8 (PBE-GGA).

Cell and atoms, written as CIF:
```
data_ScUCu2O8
_symmetry_space_group_name_H-M 'P 1'
_symmetry_Int_Tables_number 1
_symmetry_space_group_name_Hall 'P 1'
_cell_length_a 5.785
_cell_length_b 5.785
_cell_length_c 5.785
_cell_angle_alpha 109.29
_cell_angle_beta 109.29
_cell_angle_gamma 109.84
loop_
_atom_site_label
_atom_site_fract_x
_atom_site_fract_y
_atom_site_fract_z
_atom_site_occupancy
Sc1 0.000 0.000 0.000 1
U1 0.750 0.250 0.500 1
Cu1 0.250 0.750 0.500 1
Cu2 0.500 0.500 0.000 1
O1 0.045 0.361 0.316 1
O2 0.045 0.729 0.684 1
O3 0.105 0.295 0.810 1
O4 0.271 0.955 0.316 1
O5 0.484 0.295 0.190 1
O6 0.639 0.955 0.684 1
O7 0.705 0.516 0.810 1
O8 0.705 0.895 0.190 1
```

Values from the calculation:
formation energy without anion corrections: -162 kJ per mole of atoms
magnetization: 0.27 μB/atom

Record 2
Entry from the Alexandria database: an optimized crystal structure of RbCe4Ag3S12 (PBE-GGA).

Cell and atoms, written as CIF:
```
data_RbCe4Ag3S12
_symmetry_space_group_name_H-M 'P 1'
_symmetry_Int_Tables_number 1
_symmetry_space_group_name_Hall 'P 1'
_cell_length_a 8.707
_cell_length_b 8.707
_cell_length_c 8.707
_cell_angle_alpha 109.47
_cell_angle_beta 109.47
_cell_angle_gamma 109.47
loop_
_atom_site_label
_atom_site_fract_x
_atom_site_fract_y
_atom_site_fract_z
_atom_site_occupancy
Rb1 0.000 0.000 0.000 1
Ce1 0.000 0.000 0.500 1
Ce2 0.000 0.500 0.000 1
Ce3 0.500 0.000 0.000 1
Ce4 0.500 0.500 0.500 1
Ag1 0.000 0.500 0.500 1
Ag2 0.500 0.000 0.500 1
Ag3 0.500 0.500 0.000 1
S1 0.152 0.318 0.835 1
S2 0.165 0.483 0.318 1
S3 0.165 0.848 0.682 1
S4 0.318 0.165 0.483 1
S5 0.318 0.835 0.152 1
S6 0.483 0.318 0.165 1
S7 0.517 0.682 0.835 1
S8 0.682 0.165 0.848 1
S9 0.682 0.835 0.517 1
S10 0.835 0.152 0.318 1
S11 0.835 0.517 0.682 1
S12 0.848 0.682 0.165 1
```

Values from the calculation:
formation energy without anion corrections: -97 kJ per mole of atoms
magnetization: 0.00 μB/atom

Record 3
Entry from the Alexandria database: an optimized crystal structure of Sr2GeF (PBE-GGA).

Cell and atoms, written as CIF:
```
data_Sr2GeF
_symmetry_space_group_name_H-M 'P 1'
_symmetry_Int_Tables_number 1
_symmetry_space_group_name_Hall 'P 1'
_cell_length_a 5.305
_cell_length_b 5.305
_cell_length_c 5.305
_cell_angle_alpha 60.00
_cell_angle_beta 60.00
_cell_angle_gamma 60.00
loop_
_atom_site_label
_atom_site_fract_x
_atom_site_fract_y
_atom_site_fract_z
_atom_site_occupancy
Sr1 0.250 0.250 0.250 1
Sr2 0.750 0.750 0.750 1
Ge1 0.000 0.000 0.000 1
F1 0.500 0.500 0.500 1
```

Values from the calculation:
excess energy over the best structure of this formula in the dataset: 0.387 eV per atom
formation energy without anion corrections: -125 kJ per mole of atoms
magnetization: 0.25 μB/atom

Record 4
Entry from the Alexandria database: an optimized crystal structure of Pr2Al4AgPt3 (PBE-GGA).

Cell and atoms, written as CIF:
```
data_Pr2Al4AgPt3
_symmetry_space_group_name_H-M 'P 1'
_symmetry_Int_Tables_number 1
_symmetry_space_group_name_Hall 'P 1'
_cell_length_a 4.332
_cell_length_b 4.332
_cell_length_c 10.551
_cell_angle_alpha 90.00
_cell_angle_beta 90.00
_cell_angle_gamma 90.00
loop_
_atom_site_label
_atom_site_fract_x
_atom_site_fract_y
_atom_site_fract_z
_atom_site_occupancy
Pr1 0.000 0.500 0.243 1
Pr2 0.500 0.000 0.757 1
Al1 0.000 0.000 0.000 1
Al2 0.000 0.500 0.633 1
Al3 0.500 0.000 0.367 1
Al4 0.500 0.500 0.000 1
Ag1 0.000 0.000 0.500 1
Pt1 0.000 0.500 0.870 1
Pt2 0.500 0.000 0.130 1
Pt3 0.500 0.500 0.500 1
```

Values from the calculation:
magnetization: 0.00 μB/atom
total energy: -54.92 eV for the cell shown

Record 5
Entry from the Alexandria database: an optimized crystal structure of Ho3SiS2 (PBE-GGA).

Cell and atoms, written as CIF:
```
data_Ho3SiS2
_symmetry_space_group_name_H-M 'P 1'
_symmetry_Int_Tables_number 1
_symmetry_space_group_name_Hall 'P 1'
_cell_length_a 7.536
_cell_length_b 7.536
_cell_length_c 6.406
_cell_angle_alpha 90.00
+++

Record 1
Entry from the Alexandria database: an optimized crystal structure of ScUCu2O8 (PBE-GGA).

Cell and atoms, written as CIF:
```
data_ScUCu2O8
_symmetry_space_group_name_H-M 'P 1'
_symmetry_Int_Tables_number 1
_symmetry_space_group_name_Hall 'P 1'
_cell_length_a 5.785
_cell_length_b 5.785
_cell_length_c 5.785
_cell_angle_alpha 109.29
_cell_angle_beta 109.29
_cell_angle_gamma 109.84
loop_
_atom_site_label
_atom_site_fract_x
_atom_site_fract_y
_atom_site_fract_z
_atom_site_occupancy
Sc1 0.000 0.000 0.000 1
U1 0.750 0.250 0.500 1
Cu1 0.250 0.750 0.500 1
Cu2 0.500 0.500 0.000 1
O1 0.045 0.361 0.316 1
O2 0.045 0.729 0.684 1
O3 0.105 0.295 0.810 1
O4 0.271 0.955 0.316 1
O5 0.484 0.295 0.190 1
O6 0.639 0.955 0.684 1
O7 0.705 0.516 0.810 1
O8 0.705 0.895 0.190 1
```

Values from the calculation:
formation energy without anion corrections: -162 kJ per mole of atoms
magnetization: 0.27 μB/atom

Record 2
Entry from the Alexandria database: an optimized crystal structure of RbCe4Ag3S12 (PBE-GGA).

Cell and atoms, written as CIF:
```
data_RbCe4Ag3S12
_symmetry_space_group_name_H-M 'P 1'
_symmetry_Int_Tables_number 1
_symmetry_space_group_name_Hall 'P 1'
_cell_length_a 8.707
_cell_length_b 8.707
_cell_length_c 8.707
_cell_angle_alpha 109.47
_cell_angle_beta 109.47
_cell_angle_gamma 109.47
loop_
_atom_site_label
_atom_site_fract_x
_atom_site_fract_y
_atom_site_fract_z
_atom_site_occupancy
Rb1 0.000 0.000 0.000 1
Ce1 0.000 0.000 0.500 1
Ce2 0.000 0.500 0.000 1
Ce3 0.500 0.000 0.000 1
Ce4 0.500 0.500 0.500 1
Ag1 0.000 0.500 0.500 1
Ag2 0.500 0.000 0.500 1
Ag3 0.500 0.500 0.000 1
S1 0.152 0.318 0.835 1
S2 0.165 0.483 0.318 1
S3 0.165 0.848 0.682 1
S4 0.318 0.165 0.483 1
S5 0.318 0.835 0.152 1
S6 0.483 0.318 0.165 1
S7 0.517 0.682 0.835 1
S8 0.682 0.165 0.848 1
S9 0.682 0.835 0.517 1
S10 0.835 0.152 0.318 1
S11 0.835 0.517 0.682 1
S12 0.848 0.682 0.165 1
```

Values from the calculation:
formation energy without anion corrections: -97 kJ per mole of atoms
magnetization: 0.00 μB/atom

Record 3
Entry from the Alexandria database: an optimized crystal structure of Sr2GeF (PBE-GGA).

Cell and atoms, written as CIF:
```
data_Sr2GeF
_symmetry_space_group_name_H-M 'P 1'
_symmetry_Int_Tables_number 1
_symmetry_space_group_name_Hall 'P 1'
_cell_length_a 5.305
_cell_length_b 5.305
_cell_length_c 5.305
_cell_angle_alpha 60.00
_cell_angle_beta 60.00
_cell_angle_gamma 60.00
loop_
_atom_site_label
_atom_site_fract_x
_atom_site_fract_y
_atom_site_fract_z
_atom_site_occupancy
Sr1 0.250 0.250 0.250 1
Sr2 0.750 0.750 0.750 1
Ge1 0.000 0.000 0.000 1
F1 0.500 0.500 0.500 1
```

Values from the calculation:
excess energy over the best structure of this formula in the dataset: 0.387 eV per atom
formation energy without anion corrections: -125 kJ per mole of atoms
magnetization: 0.25 μB/atom

Record 4
Entry from the Alexandria database: an optimized crystal structure of Pr2Al4AgPt3 (PBE-GGA).

Cell and atoms, written as CIF:
```
data_Pr2Al4AgPt3
_symmetry_space_group_name_H-M 'P 1'
_symmetry_Int_Tables_number 1
_symmetry_space_group_name_Hall 'P 1'
_cell_length_a 4.332
_cell_length_b 4.332
_cell_length_c 10.551
_cell_angle_alpha 90.00
_cell_angle_beta 90.00
_cell_angle_gamma 90.00
loop_
_atom_site_label
_atom_site_fract_x
_atom_site_fract_y
_atom_site_fract_z
_atom_site_occupancy
Pr1 0.000 0.500 0.243 1
Pr2 0.500 0.000 0.757 1
Al1 0.000 0.000 0.000 1
Al2 0.000 0.500 0.633 1
Al3 0.500 0.000 0.367 1
Al4 0.500 0.500 0.000 1
Ag1 0.000 0.000 0.500 1
Pt1 0.000 0.500 0.870 1
Pt2 0.500 0.000 0.130 1
Pt3 0.500 0.500 0.500 1
```

Values from the calculation:
magnetization: 0.00 μB/atom
total energy: -54.92 eV for the cell shown

Record 5
Entry from the Alexandria database: an optimized crystal structure of Ho3SiS2 (PBE-GGA).

Cell and atoms, written as CIF:
```
data_Ho3SiS2
_symmetry_space_group_name_H-M 'P 1'
_symmetry_Int_Tables_number 1
_symmetry_space_group_name_Hall 'P 1'
_cell_length_a 7.536
_cell_length_b 7.536
_cell_length_c 6.406
_cell_angle_alpha 90.00